“The world is a book, and those who do not travel read only a page.” – Mark Twain
Let the words you see in the line above sink in for a minute. The world is full of various cultures and experiences just waiting to be discovered, whether today or in the future.
The phenomena of trotting the globe in search of an adventure, a holiday, maybe some soul-searching or ‘just because’ – also known as travelling – has risen as the years progress. With technological advancements that make your travel experience more comfortable, accessible and most importantly, more convenient, citizens all over the globe can now experience cultures outside of their own, first hand.
Of course, travel brings more benefits than widening your worldview, literally.
In Malaysia, tourism is the largest contributor to our Gross Domestic Product (GDP). In 2019, tourism contributed a total of RM86.14 billion to the local economy, with a total footfall of more than 26 million international tourists who visited Malaysia throughout the year.
Not only do you grow as a person, but you also get to grow your country’s pockets when you travel and support local.
Win-win, right?
The Silent Killer of the Earth

As with anything in life, too much of a good thing isn’t great either. While tourism helps boost the local economy and benefit the communities that need it, therein lie the repercussions of travelling: carbon emissions.
Just think about it, travelling requires the use of transportation and vehicles, that in turn requires the use of fuel. According to a study done by the United Nations World Tourism Organization (UNWTO) and the International Transport Forum (ITF), transport-related emissions from tourism are expected to account for 5.3% of all man-made carbon emissions by 2030.
Now, that number might not seem like a lot and 2030 is a good 10 years away, so here’s something to put that number into perspective. In 2017, it was measured that Malaysia has collectively emitted 5.22 billion tonnes of carbon dioxide. Imagine what that number looks like in current day context.
The question is:
What do we do about it?
A Sustainable Solution
Nowadays, the term ‘sustainability’ has become a popular term in modern societies. You see it everywhere: shopping malls, cafes, even property sales websites. Although overused or cliche, the solution really is that simple: move towards sustainable tourism.
The UNWTO defines ‘sustainable tourism’ as tourism that takes full account of its current and future economic, social and environmental impacts, addressing the needs of visitors, the industry, the environment and the host communities.
In short, it runs on the premise of taking care of the environment, society and economy, maximising the positive impacts of tourism while minimising the negative.
While the journey to true sustainability is a long one, travel companies are starting to take these issues into consideration and adapt their business models to one that champions the cause.
Seeking A Better Perspective
<<<
Record 1
Entry from the Materials Project: a relaxed MnCoPt2 crystal (PBE).

## Properties
V (Å³/cell): 56.0
Energy (eV for the cell shown): -29.15
Total moment (Bohr magnetons per cell): 6.44
ΔE_f (eV per atom): -0.19

Cell and atoms, written as CIF:
```
data_MnCoPt2
_cell_length_a 2.762
_cell_length_b 2.762
_cell_length_c 7.348
_cell_angle_alpha 90.00
_cell_angle_beta 90.00
_cell_angle_gamma 90.00
_symmetry_space_group_name_H-M 'P 1'
_symmetry_Int_Tables_number 1
loop_
_symmetry_equiv_pos_as_xyz
'x,y,z'
loop_
_atom_site_label
_atom_site_fract_x
_atom_site_fract_y
_atom_site_fract_z
_atom_site_occupancy
Mn1 0.000 0.000 0.000 1
Co1 0.000 0.000 0.500 1
Pt1 0.500 0.500 0.258 1
Pt2 0.500 0.500 0.742 1
```



Record 2
Entry from the Materials Project: a relaxed BaSrHo4O8 crystal (PBE).

## Properties
V (Å³/cell): 426.8
Energy (eV for the cell shown): -216.36
Total moment (Bohr magnetons per cell): 0.00
ΔE_f (eV per atom): -3.73

Cell and atoms, written as CIF:
```
data_BaSrHo4O8
_cell_length_a 3.439
_cell_length_b 12.061
_cell_length_c 10.289
_cell_angle_alpha 90.00
_cell_angle_beta 90.00
_cell_angle_gamma 90.00
_symmetry_space_group_name_H-M 'P 1'
_symmetry_Int_Tables_number 1
loop_
_symmetry_equiv_pos_as_xyz
'x,y,z'
loop_
_atom_site_label
_atom_site_fract_x
_atom_site_fract_y
_atom_site_fract_z
_atom_site_occupancy
Ba1 0.000 0.101 0.000 1
Ba2 0.000 0.899 0.500 1
Sr1 0.500 0.397 0.507 1
Sr2 0.500 0.603 0.007 1
Ho1 0.000 0.143 0.330 1
Ho2 0.000 0.363 0.828 1
Ho3 0.000 0.637 0.328 1
Ho4 0.000 0.857 0.830 1
Ho5 0.500 0.143 0.675 1
Ho6 0.500 0.365 0.178 1
Ho7 0.500 0.635 0.678 1
Ho8 0.500 0.857 0.175 1
O1 0.000 0.034 0.736 1
O2 0.000 0.272 0.628 1
O3 0.000 0.330 0.329 1
O4 0.000 0.418 0.041 1
O5 0.000 0.582 0.541 1
O6 0.000 0.670 0.829 1
O7 0.000 0.728 0.128 1
O8 0.000 0.966 0.236 1
O9 0.500 0.090 0.463 1
O10 0.500 0.178 0.185 1
O11 0.500 0.236 0.868 1
O12 0.500 0.466 0.763 1
O13 0.500 0.534 0.263 1
O14 0.500 0.764 0.368 1
O15 0.500 0.822 0.685 1
O16 0.500 0.910 0.963 1
```



Record 3
Entry from the Materials Project: a relaxed NaH6CN2ClO2 crystal (PBE).

## Properties
V (Å³/cell): 289.9
Energy (eV for the cell shown): -140.57
ΔE_f (eV per atom): -0.95

Cell and atoms, written as CIF:
```
data_NaH6CN2ClO2
_cell_length_a 9.668
_cell_length_b 9.668
_cell_length_c 6.440
_cell_angle_alpha 109.05
_cell_angle_beta 109.05
_cell_angle_gamma 30.79
_symmetry_space_group_name_H-M 'P 1'
_symmetry_Int_Tables_number 1
loop_
_symmetry_equiv_pos_as_xyz
'x,y,z'
loop_
_atom_site_label
_atom_site_fract_x
_atom_site_fract_y
_atom_site_fract_z
_atom_site_occupancy
Na1 0.002 0.002 0.240 1
Na2 0.998 0.998 0.760 1
H1 0.199 0.329 0.156 1
H2 0.226 0.135 0.951 1
H3 0.334 0.334 0.599 1
H4 0.341 0.148 0.607 1
H5 0.432 0.481 0.959 1
H6 0.519 0.393 0.449 1
H7 0.519 0.568 0.041 1
H8 0.607 0.481 0.551 1
H9 0.666 0.666 0.401 1
H10 0.671 0.801 0.844 1
H11 0.852 0.659 0.393 1
H12 0.865 0.774 0.049 1
C1 0.618 0.057 0.833 1
C2 0.943 0.382 0.167 1
N1 0.146 0.266 0.092 1
>>>
## End of the calculated crystals
To get a better understanding of this, we at The Full Frontal reached out to Jacinta Lim, the co-founder of Seek Sophie, an online travel platform that makes it part of their mission to embody the values of sustainable tourism within their business model.
“Our tagline is ‘Travel that makes life better for travellers, local communities and the planet’. Those three elements need to align in order for us to list a place on the platform,” says the 35-year-old ex-lawyer.
Born to Malaysian parents who now reside in Singapore, Jacinta had the opportunity for an education in the UK, finishing law school and going on to practise law for the better part of her life there. Working in corporate law for eight years, Jacinta found something missing in her life.
“I think it’s something about the typical kind of corporate job where you think, this is really good, this is really comfortable, but I want to do a little bit more, I want to make an impact,” she says.
Moving from corporate law to a social enterprise start-up that required her to travel the world, Jacinta eventually found herself back in Singapore and facing the same dilemma.
“That was when I started thinking a lot about travel. In Asia, a lot of people are still locked out from the very lucrative industries like mining, palm oil and the such. You’re not going to own a palm oil plantation like overnight if you come from nothing,” she states.
“But what you can do, and what was seen in our travels from all around the world is that you can actually start up as a porter, bringing tourists out and earning tips, then you start becoming a guide and start hiring one or two guides with you. You start building your business that way, and that’s how we saw a lot of people actually climb out of poverty and make a life for themselves.”
Working together with her co-founder, Jacinta then thought about how travel would affect and lift up local communities and benefit smaller mom-and-pop shops and businesses, while also viewing it from a traveller’s perspective of what they would like to experience more of. A couple years of business school and coding lessons later, Seek Sophie was in the works and ready for partners to host.
Listing their partners proved to be an additional challenge for the two-man team in the beginning. Besides going door-to-door to different places (and countries), it was important that the places listed were in line with their sustainability guidelines.
“When we talk about sustainable tourism, it’s about how do we make sure that the money we spend on travelling is firstly, going to a cool place for the travellers, but also how are we going to find these cool places that if we go there, it makes all the difference in the world, making sure we’re not hurting the local community, but in fact helping protect them just by going there,” says Jacinta.
The Places You’ll Go

When it comes to travelling, the destination is probably the most important factor in deciding travel plans. Much can be said about the places listed on Seek Sophie.
“We see a lot of overtourism all around the world. If you’re going to, for example, a city where things are actually very expensive, that to us is not super sustainable because you’re already putting too many people in this place, and it’s driving up prices for everyone else who is local,” says Jacinta.
(Someone pasted calculated crystals at this point)
........
DFT (GGA+U) results for CoH10SeO9 after structural relaxation.

a = 6.1714 Å, b = 6.4369 Å, c = 10.9069 Å
α = 75.35°, β = 81.29°, γ = 70.87°
Last column: nearest neighbours and their distance in Å.
Positions (direct):
Co1 0.0000 0.0000 0.0000  6 O 2.02-2.21
Co2 0.0000 0.5000 0.5000  6 O 2.06-2.15
H1 0.0877 0.1628 0.7036  1 O 0.99
H2 0.1018 0.3059 0.0944  1 O 1.00
H3 0.1734 0.6338 0.8903  1 O 0.99
H4 0.2319 0.7809 0.5133  1 O 0.99
H5 0.2512 0.9441 0.3081  1 O 0.98
H6 0.2536 0.5979 0.6467  1 O 0.99
H7 0.2922 0.1181 0.3726  1 O 0.99
H8 0.3341 0.1410 0.6278  1 O 0.99
H9 0.3521 0.1648 0.8594  1 O 0.99
H10 0.4513 0.8932 0.8987  1 O 0.99
H11 0.5487 0.1068 0.1013  1 O 0.99
H12 0.6479 0.8352 0.1406  1 O 0.99
H13 0.6659 0.8590 0.3722  1 O 0.99
H14 0.7078 0.8819 0.6274  1 O 0.99
H15 0.7464 0.4021 0.3533  1 O 0.99
H16 0.7488 0.0559 0.6919  1 O 0.98
H17 0.7681 0.2191 0.4867  1 O 0.99
H18 0.8266 0.3662 0.1097  1 O 0.99
H19 0.8982 0.6941 0.9056  1 O 1.00
H20 0.9123 0.8372 0.2964  1 O 0.99
Se1 0.3481 0.5271 0.2110  4 O 1.67-1.69
Se2 0.6519 0.4729 0.7890  4 O 1.67-1.69
O1 0.0300 0.7419 0.9179  2 H 0.99-1.00
O2 0.1604 0.6728 0.5727  2 H 0.99
O3 0.1636 0.7898 0.1755  1 Se 1.69, 1 H 1.87
O4 0.1672 0.1856 0.6180  2 H 0.99
O5 0.2820 0.4086 0.3623  1 Se 1.68, 1 H 1.83
O6 0.3143 0.0256 0.9036  2 H 0.99
O7 0.3379 0.3694 0.1130  1 Se 1.67, 2 H 1.69-1.78
O8 0.3388 0.9549 0.3729  2 H 0.98-0.99
O9 0.3839 0.4549 0.7983  1 Se 1.68, 3 H 1.80-1.88
O10 0.6161 0.5451 0.2017  1 Se 1.68, 3 H 1.80-1.88
O11 0.6612 0.0451 0.6271  2 H 0.98-0.99
O12 0.6621 0.6306 0.8870  1 Se 1.67, 2 H 1.69-1.78
O13 0.6857 0.9744 0.0964  2 H 0.99
O14 0.7180 0.5914 0.6377  1 Se 1.68, 1 H 1.83
O15 0.8328 0.8144 0.3820  2 H 0.99
O16 0.8364 0.2102 0.8245  1 Se 1.69, 1 H 1.87
O17 0.8396 0.3272 0.4273  2 H 0.99
O18 0.9700 0.2581 0.0821  2 H 0.99-1.00

Calculated values
- E (MP2020) (eV per atom) = -5.498
- crystal system = triclinic
- total energy (eV/atom) = -5.13
- ΔH_f (0 K) (eV per atom) = -1.26

***

DFT (GGA+U) results for Li2TiFeO4 after structural relaxation.

a = 5.9996 Å, b = 6.0001 Å, c = 8.6003 Å
α = 90.00°, β = 90.04°, γ = 90.04°
Last column: nearest neighbours and their distance in Å.
Positions (direct):
Li1 0.0000 0.0000 0.0000  6 O 2.09-2.20
Li2 0.0014 0.4997 0.5002  6 O 2.09-2.21
Li3 0.2467 0.7455 0.7592  6 O 2.18-2.43
Li4 0.2523 0.2444 0.7445  6 O 2.19-2.39
Li5 0.4998 0.4994 0.5000  6 O 2.09-2.20
Li6 0.5016 0.9992 0.0001  6 O 2.09-2.21
Li7 0.7479 0.7536 0.2596  6 O 2.19-2.43
Li8 0.7542 0.2546 0.2448  6 O 2.19-2.39
Ti1 0.2470 0.7261 0.2439  4 O 1.90-2.02
Ti2 0.2543 0.2259 0.2558  4 O 1.90-2.02
Ti3 0.7465 0.7731 0.7439  4 O 1.90-2.02
Ti4 0.7530 0.2733 0.7558  4 O 1.90-2.02
Fe1 0.0002 0.9996 0.5002  6 O 2.06-2.19
Fe2 0.0002 0.4998 0.0001  6 O 2.06-2.19
Fe3 0.5001 0.4993 0.0000  6 O 2.06-2.19
Fe4 0.5000 0.9995 0.5002  6 O 2.06-2.19
O1 0.0177 0.5077 0.2543  1 Ti 1.90, 1 Li 2.12
O2 0.0214 0.0072 0.2455  1 Ti 1.92, 1 Li 2.12
O3 0.2502 0.2665 0.0222  1 Ti 2.02, 2 Fe 2.06, 2 Li 2.20-2.21
........
She continued by saying that listing more off-the-beaten path places helps spread out the tourism dollars instead of everyone descending on a city which, if we’re being honest, doesn’t really need your money anymore. For example, they have a lot of places in Borneo and Peninsula Malaysia that doesn’t just focus on KL as the main attraction so as to spread out the tourism dollars to the rest of the community.
“That’s how we also decide to pick a place. When we look at it, is it a sustainable place to visit where tourism will actually help it rather than hurt it.”
The People You’ll Meet
It is said that part of the travel experience is in living the way the locals do, talking to them and visiting truly local-owned stores and businesses instead of the hyped up tourist attractions that everyone talks about online.
Pro-tip: if you search a place online and it comes up in the first five listicles about the country you’re going to, it’s probably going to be places that are purely made for tourist money.
Then comes the issue of pricing. More often than not, the prices you see online are hiked up way above what it actually costs to visit these places, and that’s not even a guarantee that the money you’re spending will go to the local communities themselves.
“We find that in a lot of tourism, a lot of the stuff that’s online is stuff that has an in-between person, and the money that eventually reaches the locals is very, very little. And that’s just heart-breaking,” says Jacinta.
“How do you make sure that the money you’re actually spending will actually go to the people? Let’s say, if going to a place that should only cost like 30 dollars, but because of the in-between man it costs like 300 dollars.”
“If you brought it down to the actual price that it costs without marking it up, then a lot more people will be able to go because then they can actually afford it, then a lot more money will go into the hands of the local communities.”
The Planet You’ll Save

Remember that little bit of info we gave on carbon emissions from travelling?
While encouraging travel might be good for the local communities, it’s high time we start thinking about the negative impact it might have on the environment.
“It’s not just about going to the place and giving your money to the locals, it’s also about how we make sure that the travel there and things surrounding the travel, such as the travel choices that you make, is good for the environment. Reef-safe sunscreens, making sure you’re not supporting practices that are bad for the environment, things like that,” exclaims Jacinta.
Turns out there are more than just your personal travel choices that can be done in order to neutralise the situation.
“We started calculating how much the carbon emissions are for our trips and we basically average it out. So, for every dollar spent on our platform, we offset a pound of carbon emissions,” she says.
Offsetting carbon emissions here basically means putting your money towards carbon offset programmes that source conservation projects that protect areas that bring a positive impact to the environment. For example, mangrove swamps and rainforests bring balance to and protect its surrounding ecosystem. Your money goes into the efforts of paying the people who own these lands to keep it the way it is, instead of converting it into things like palm oil plantations or coal mines, things that aren’t the greatest for the environment.
“This means that the carbon emissions of your trip are rolling at neutral, so you’re not doing more damage to the environment by travelling.”
Eyes Up, Wise Up
You might be wondering why we’re talking about this now when it seems that the issue has been brewing all this while.
Take a look at the date today: 27 September. Today is in fact World Tourism Day, the day dedicated to promoting the joys and positives of travelling all around the world. While it is typically a day that calls for the lighter side of things, we thought it apt to highlight the need for more sustainable tourism in line with this year’s theme of ‘Tourism & Rural Development’.
In short, sustainable tourism is about finding the right balance of where you spend your money. While overtourism isn’t the most ideal situation, undertourism could very well mean the death of a local community, and the ecosystem that surrounds it.
Of course, before letting Jacinta go, we had to ask her one final question:
Who is Sophie?
“Sophie means wisdom in Greek, so that’s the kind of travel we hope to have,” laughs Jacinta.
“It’s not just about going somewhere, taking a selfie, layan the beach, escape life. It’s about how you go somewhere and learn so much about yourself and what you’re made of. Push yourself out of your comfort zone, learn about the communities; that’s the fundamental point of travel, you want to go somewhere to learn to push yourself rather than to just escape.”
In conjunction with the theme of this year’s World Tourism day, why not visit our own bit of preserved culture and natural heritage right here.